There’s no doubt that NLP techniques can be used to make you more successful in your professional life. Whether you want to use these methods to become a more effective salesperson or to simply drive change in your workplace, the use of these tactics in the world of business is well-established.
Quantum chemistry results, as found in the file:
┌──
19
Properties=species:S:1:pos:R:3:forces:R:3:lowdin_charge:R:1 method="wB97M-V/def2-TZVPD" homo_energy_ev=-14.6 gap_ev=11.31 total_charge=+1 e_lumo_ev=-3.281
O -2.4770 0.9633 -0.2797 0.0 -0.1 0.1 -0.0577
C -1.6278 0.8025 0.8584 0.3 -0.1 -2.1 -0.1611
C -0.2205 0.5460 0.2627 -0.9 -0.5 0.3 -0.2394
N 0.5728 -0.4769 1.0249 0.6 -0.3 0.1 0.0808
C 1.8531 -0.5946 0.1930 -1.1 -0.1 0.0 -0.0695
C 1.2406 -0.7315 -1.2103 -0.1 -0.2 -0.1 -0.1232
C -0.1549 -0.0576 -1.1384 0.1 0.7 -0.1 -0.1094
H -3.3069 1.3607 0.0069 0.0 0.0 0.0 0.1080
H -1.9760 -0.0712 1.4140 0.1 0.4 0.7 0.1324
H -1.5611 1.7784 1.3158 -0.3 -0.2 1.2 0.1275
H 0.3463 1.4719 0.3353 0.2 -0.1 -0.1 0.1619
H 0.1566 -1.4068 0.9393 -0.5 0.2 0.1 0.1849
H 0.6844 -0.3165 2.0295 0.2 0.3 -0.2 0.1946
H 2.3817 0.3452 0.2985 0.3 -0.1 0.2 0.1343
H 2.3790 -1.4687 0.5527 0.4 0.1 0.0 0.1335
H 1.9158 -0.3418 -1.9623 0.0 0.3 -0.1 0.1230
H 1.0840 -1.7721 -1.4789 0.2 -0.2 0.1 0.1176
H -0.9430 -0.7852 -1.3259 -0.1 0.0 0.3 0.1287
H -0.3470 0.7549 -1.8354 0.3 -0.2 -0.2 0.1330

---

115
Properties=species:S:1:pos:R:3:forces:R:3:lowdin_charge:R:1 method="wB97M-V/def2-TZVPD" homo_energy_ev=-4.6 gap_ev=5.97 total_charge=-1 e_lumo_ev=1.412
N -1.2793 7.4317 0.7201 -0.2 -0.4 -0.7 0.0703
C -1.3986 6.9114 -0.6180 0.5 0.8 -1.3 -0.4698
O -0.9731 7.6165 -1.5464 -0.5 -1.5 1.6 0.0122
C -2.0684 5.5355 -0.9950 -0.8 0.4 -0.8 -0.2063
C -1.0601 4.3275 -1.0741 0.4 1.5 -0.8 -0.2928
P -0.2217 3.7485 0.5282 0.7 -4.0 -0.2 0.2911
N 0.4992 2.9584 2.0068 0.1 0.6 0.9 -0.2090
Cl -1.6962 4.5186 1.9277 -0.9 1.1 0.1 0.2483
O 0.8516 5.1189 0.6072 0.5 -0.1 -0.8 -0.3401
C 2.0078 4.9095 -0.2269 0.4 -2.0 -1.3 -0.2201
C 2.2706 3.3248 -0.1446 0.7 1.6 0.4 -0.2868
O 0.9719 2.7778 -0.3298 1.3 0.7 -0.2 -0.3685
H -0.3735 7.1858 1.1359 -0.5 0.0 -0.3 0.0801
H -2.0539 7.1613 1.3260 0.6 -0.5 -0.2 0.0439
H -2.4477 5.6962 -2.0535 0.5 0.0 1.1 0.1053
H -3.0098 5.3201 -0.4050 1.3 0.2 -0.2 0.0843
H -0.2271 4.6667 -1.7678 -0.9 -0.3 0.7 0.0788
H -1.5441 3.4621 -1.6153 0.4 0.8 1.0 0.0862
H -1.0422 2.5482 0.3929 -0.2 0.4 0.2 -0.0065
H 0.3247 1.9494 1.9727 0.0 0.6 -0.3 0.0193
H 0.0008 3.3055 2.8305 0.5 -0.3 -0.3 -0.0569
H 2.9156 5.5232 0.0173 -1.1 -0.4 0.4 0.1146
H 1.8344 5.0341 -1.3436 -0.4 0.5 1.2 0.1064
H 2.7790 3.2011 0.8539 -1.1 -0.6 -0.5 0.1026
H 3.0237 2.9167 -0.8796 -1.0 0.7 0.2 0.0996
O 5.1121 1.0351 -1.5068 0.2 -0.5 0.3 -0.2820
S 4.4205 -0.1558 -1.0957 -0.8 0.0 -0.3 0.5939
O 4.7183 -0.8018 0.1536 0.3 0.2 -0.3 -0.2900
O 4.5275 -1.2503 -2.2783 -0.3 0.3 0.2 -0.2722
C 5.8243 -1.5832 -2.7788 0.7 -0.3 -0.1 -0.2684
C 6.5672 -2.5113 -1.8370 0.1 0.0 0.3 -0.0723
C 2.6793 0.1179 -1.1964 0.1 -0.1 0.0 -0.1161
H 6.4030 -0.6779 -2.9805 -0.2 0.1 0.1 0.1140
H 5.6681 -2.0862 -3.7348 -0.3 0.1 0.1 0.1208
H 6.8187 -2.0045 -0.9035 0.0 0.0 -0.1 0.0711
H 7.4960 -2.8607 -2.2922 -0.1 0.0 -0.1 0.0798
H 5.9503 -3.3754 -1.5808 0.1 0.0 -0.1 0.0700
H 2.4463 0.5615 -2.1624 0.0 0.0 0.1 0.0854
H 2.3987 0.8010 -0.3945 0.0 0.0 0.0 0.0552
H 2.1662 -0.8339 -1.0706 0.1 0.0 0.0 0.0739
└──
But what if you’d like to translate these techniques to other aspects of your life? If NLP can make you more persuasive in your dealings with other people, shouldn’t it also be able to help persuade your subconscious to cultivate positive personal habits?
The answer is a resounding, “Yes!” Whether you want to use these tactics to lose weight by eliminating sweets cravings and increasing your motivation to get to the gym, or you need the extra encouragement to make progress on a personal project, the principles of NLP can be easily adapted to drive change in your personal – as well as your professional – life.
Here’s how to do it…
The first technique that can be used to motivate positive change in your personal life is the “anchor.”
Personal Development Planet defines this technique thusly: “An anchor is simply a connection between a stimulus and a certain emotional response.” In the popular psychology experiment conducted by Pavlov on a group of hungry dogs, the bell that signaled the arrival of food was used as an anchor device that transmitted the state of upcoming satiation to the canine participants.
When used properly in your own life, being able to create and manipulate these anchor associations can provide powerful benefits. For example, suppose you’re trying to woo a potential partner, but feel awkward and uncomfortable every time you’re around this person. Now, imagine how much more smoothly your courtship would proceed if you were able to dial up feelings of self-confidence and assuredness on command.
To create anchors, you first need to identify the emotional state you’d like to achieve on command, as well as the signal you’ll use to trigger this state (typically a single word said out loud or a specific hand gesture). Then, visualize an experience from your past when you felt your desired emotional state strongly while repeating your chosen signal. Following our dating example, to be able to fire a “confidence” anchor, recall a situation from your past when you felt powerfully confident.
Relive every part of this experience while practicing with your anchor signal. As the anchor becomes more defined in your mind, you should be able to call it up at will by deploying your physical signal.
Visualization Exercises
The use of these anchors enables you to tie a specific emotion or feeling to a particular hand gesture. And while this can be incredibly useful in defusing awkward or uncomfortable situations, it’s limited in that each anchor only ties to a single emotion.
Now, imagine you’re sitting face to face with the object of your affection. At some points in your conversation, you might want to be able to call up your “confidence” anchor – but you might also want to make yourself appear witty, self-deprecating or charming. And that’s a lot of anchors!
So in order to ensure that your anchors are reserved for the most powerful emotions you want to call up, you’ll want to make use of another NLP technique – visualization – to motivate positive changes in your personal life.
Visualization is an incredibly powerful technique because it gives our minds a template to work off of. Simply saying, “I wish I wasn’t so awkward” or “I wish I was more motivated” isn’t that helpful, because it doesn’t give our brains a framework for promoting positive change. Neither one of these negative statements describe alternative behaviors, which leaves our minds frustrated, but unable to produce meaningful change.
Instead, by visualizing how we’d like situations to unfold, we give our brains a blueprint for creating positive actions. To use visualizations effectively, imagine your desired scenario unfolding from three different angles:
- From your own perspective, within your own mind,
- From the perspective of an outsider who’s interacting with you, and
- From the perspective of a neutral third party.
For example, if you want to have more motivation to go to the gym regularly, start by visualizing yourself coming home from work, changing into your gym clothes and going to get in a good workout. Then, change your visualization to imagine what someone you interact with at the gym sees in your behavior. Does this person see a tired, dejected person dragging himself through his workouts, or does he see a fit, energetic person upon which he can model his own behavior?
Finally, imagine the scene as if you’re watching it unfold from above. How do the people in your visualization behave and interact with each other? Seeing them modeling the behaviors you’d like to address in your own life makes this tool a powerful way to drive changes to your own personal habits.
Image: ElDave